Blog Post
Strengthening Our Commitment to Indian Country
The following post appears courtesy of Associate Attorney General Thomas Perrelli.
Today marks the one year anniversary of the Tribal Law & Order Act (TLOA), an historic piece of legislation signed into law by President Obama on July 29, 2010. That anniversary represents an important moment to reflect on the work that has been done to address the crisis of the public safety in tribal communities and to recognize how much work remains to be done.
To offer just a snapshot of what's at stake, studies show that nearly three out of five Native American women had been assaulted by their spouses or intimate partners and one third of all American Indian women will be raped during their lifetimes. We also know that, on some reservations, Native women are murdered at a rate more than ten times the national average. Tribal leaders, police officers, and prosecutors tell us of an all-too-familiar pattern of escalating violence that goes unaddressed, with beating after beating, each more severe than the last, ultimately leading to death or severe physical injury.
+++
i:
LiLa3Hg2 (PBE-GGA, optimized geometry); V = 179 Å³/cell
1.0
-0.977 1.977 -3.300
-3.623 0.672 1.475
3.699 9.655 4.689
Hg La Li
2 3 1
direct
0.500 0.500 0.173
0.500 0.500 0.827
0.000 0.000 0.000
0.000 0.000 0.671
0.000 0.000 0.329
0.500 0.500 0.500


ii:
LiLa3Hg2 (PBE-GGA, optimized geometry); V = 178 Å³/cell
1.0
4.002 0.000 0.000
0.000 5.138 -1.701
0.000 0.017 8.662
La Hg Li
3 2 1
direct
0.500 0.171 0.342
0.500 0.500 0.000
0.500 0.829 0.658
0.000 0.343 0.687
0.000 0.657 0.313
0.000 0.000 0.000


Stability summary: most stable ii, least stable i.


i:
LiLaHg2 (PBE-GGA, optimized geometry); V = 95 Å³/cell
1.0
-1.455 4.356 -2.275
0.090 -2.332 -4.563
-2.786 -1.955 3.832
Hg Li La
2 1 1
direct
0.250 0.750 0.500
0.000 0.000 0.000
0.750 0.250 0.500
0.500 0.500 0.000


ii:
LiLaHg2 (PBE-GGA, optimized geometry); V = 101 Å³/cell
1.0
0.000 3.699 3.699
3.699 0.000 3.699
3.699 3.699 0.000
Hg Li La
2 1 1
direct
0.750 0.750 0.750
0.250 0.250 0.250
0.000 0.000 0.000
0.500 0.500 0.500


Stability summary: most stable ii, least stable i.


i:
LiLaHg2 (PBE-GGA, optimized geometry); V = 105 Å³/cell
1.0
-3.008 1.036 2.225
-0.528 -3.710 1.013
4.293 0.863 5.402
La Hg Li
1 2 1
direct
0.000 0.000 0.479
0.000 0.000 0.953
0.500 0.500 0.236
0.500 0.500 0.832


ii:
LiLaHg2 (PBE-GGA, optimized geometry); V = 232 Å³/cell
1.0
-0.398 -4.748 -1.476
4.396 -1.027 2.120
-2.349 -5.007 8.311
Hg Li La
4 2 2
direct
0.875 0.776 0.750
0.224 0.625 0.250
0.375 0.474 0.750
0.526 0.125 0.250
0.500 0.500 0.000
0.250 0.750 0.500
0.000 0.000 0.000
0.750 0.250 0.500


iii:
LiLaHg2 (PBE-GGA, optimized geometry); V = 106 Å³/cell
1.0
8.423 0.005 0.011
-3.413 4.130 -0.003
1.597 1.327 3.037
La Li Hg
1 1 2
direct
0.000 0.500 0.500
0.500 0.500 0.000
0.500 0.000 0.500
0.000 0.000 0.000


Stability summary: most stable iii, least stable ii.

----------

VASP calculation (PBE) on a geometry-optimized LiAs2 structure.

Cell: 8.4355 8.4355 8.4355 Å, 161.58 161.58 26.16°
Closest atoms and distances in Å follow each position.
Element x y z (fractional)
Li 0.0000 0.0000 0.0000  4 Li 2.70, 8 As 2.84
As 0.3724 0.3724 0.0000  4 As 2.70, 4 Li 2.84
As 0.6276 0.6276 0.0000  4 As 2.70, 4 Li 2.84

Computed properties:
Energy of formation ... -0.142 eV per atom
Calculated density ... 4347 kg/m³
Energy ... -3.88 eV/atom
SG ... No. 139
Total moment ... 0.00 μB/atom

----------

Below is crystalline Mn2ZnO4 at its relaxed geometry, with properties calculated at the PBE with a Hubbard U level.

Values from the calculation:
ΔE to the lowest computed polymorph: 0.82 eV/f.u.
VASP energy: -6.60 eV/atom
spin magnetization: 8.0 μB/f.u.

Cell: 6.222 5.207 11.093 Å, 74.20 90.00 90.00°
Each line ends with the local moment (μB).
Positions (direct):
1 Mn 0.287 0.511 0.954  4.00
2 Mn 0.199 0.530 0.479  3.90
3 Mn 0.787 0.489 0.046  4.00
4 Mn 0.699 0.470 0.521  3.90
5 Mn 0.540 0.002 0.999  3.96
6 Mn 0.950 0.000 0.497  3.93
7 Mn 0.040 0.998 0.001  3.96
8 Mn 0.450 0.000 0.503  3.93
9 Zn 0.700 0.843 0.267  0.02
+++
_Here the piece continues_
With these sobering statistics in mind, soon after he came into office, Attorney General Eric Holder identified building and sustaining safe and secure tribal communities as one of the Department of Justice's top priorities—in line with his key goals of addressing violent crime and protecting our nation’s most vulnerable. In June of 2009, the Department launched a wide-ranging initiative to strengthen public safety in Indian Country. Since that time, the Department has taken a number of steps to deepen its commitment to tribal communities and to develop more effective partnership with tribal leaders, police, prosecutors, courts, and advocates to combat crime in tribal communities.
All U.S. Attorneys with Indian Country jurisdiction were directed to consult with tribes and develop specific operational plans to address public safety in tribal communities, and to ensure that the prosecution of crimes against Indian women and children is a priority. They were also directed to increase communication and develop new partnerships with tribal prosecutors and courts. The Attorney General created a Violence Against Women Federal and Tribal Prosecution Task Force to better coordinate efforts between the Department and tribal governments and to recommend best practices in ending the scourge of domestic violence. And this week, Attorney General Holder, 30 U.S. Attorneys, and other administration officials met in Rapid City and on the Pine Ridge Reservation in South Dakota to engage in listening sessions with tribal leaders and hear from advocates in the fields of tribal safety and domestic violence.
The Justice Department has also directed an unprecedented increase in personnel to fight Indian Country crime. Today there are more federal prosecutors and victim specialists working in Indian Country than ever before. In the past two years, in addition to the dedicated professionals already working in Indian Country, the Department has deployed 28 new Assistant U.S. Attorneys to prosecute violent crimes in Indian Country, and the FBI has deployed 9 new investigators and 12 new victim advocates into areas where victim services are needed most.
Finally, the Department is engaging tribal youth in the areas of healthy relationships and lifestyles, education, substance and alcohol abuse, cultural preservation, community development and protecting the environment--in an effort to have lasting effects on families and communities. This week, the Department is hosting the National Intertribal Youth Summit in Santa Fe, NM to provide an opportunity for Obama administration officials to hear directly from 175 young men and women from nearly 50 tribes in Indian Country.
Without question, however, enactment of the TLOA has been a major step in our efforts to combat crime in Indian Country. The TLOA brought long overdue reforms that will over time further empower tribal governments, and strengthen their ability to keep neighborhoods safe and hold criminals accountable. At the same time, the law placed new obligations on the federal government to work in partnership with tribal authorities to address public safety for American Indians and Alaska Natives.
The Department of Justice embraces those responsibilities and is working hard to implement all of the TLOA's provisions. But even after the TLOA is fully implemented, we must recognize that there is and will remain much work left to be done to make tribal communities safe and secure. The TLOA was landmark legislation, but it cannot be the end of our efforts. For that reason, in addition to all of the many investments that the Department is making in Indian Country, it is also advocating for more tools to address a problem that tribal leaders across the country have identified as a top priority - ending the scourge of domestic violence.
Last week, the Obama Administration unveiled a new proposal for legislation to combat the epidemic rates of violence against Native women in Indian Country. The proposed legislation offers a broader set of tools for Federal and tribal law enforcement agencies to hold perpetrators of domestic violence accountable for their crimes. It builds on the philosophy of the TLOA by recognizing that tribal authorities, in collaboration with their federal partners, are best able to address crime in their communities if they are given the tools and resources needed to do it.
We look forward to working with tribal leaders and Congress on this legislation. In spite of the work of many dedicated people in the law enforcement and support services communities, there are still victims of crime who are afraid to raise their voices, and many law enforcement agencies without sufficient resources to meet existing challenges. As we celebrate this first year since TLOA's passage, we are reminded of the great need that still remains, and we renew our commitment to finally end the public safety crisis facing American Indians and Alaska Natives.
For more information about The Department of Justice's commitment to Indian Country, visit
Updated April 7, 2017